**To do**
Find "-2.26 0.28" and "1.939 -0.590" in the entries underneath, and type out these two lines and those between.
**Contents**
The following is a quantum chemistry calculation of 2 unconnected molecules or ions with the total composition C3H9NS, from the OMol25 dataset.

```
! wB97M-V def2-TZVPD RIJCOSX def2/J DEFGRID3
* xyz 0 1
C 1.18 -1.55 -1.21
C 0.54 -0.38 -0.51
C -0.76 -0.44 -0.19
N -1.45 0.61 0.49
H 0.49 -2.40 -1.21
H 1.49 -1.25 -2.21
H 2.05 -1.92 -0.66
H 1.11 0.47 -0.18
H -1.31 -1.37 -0.33
H -1.70 1.39 -0.10
H -2.26 0.28 0.99
S 0.50 2.25 2.20
H -0.10 1.10 1.60
H 0.22 3.21 1.32
*
```

Orbital gap, eV: 9.54
SMILES string: C/C=C/N.S
Lowest unoccupied orbital energy, eV: 0.882
Total energy, eV: -15581.1514
Energy above the lowest of the compared OMol25 structures with the same formula, charge and spin, kJ/mol: 113.8

* * * * *

Entry 1:
{"formula": "C2HNO3S", "method": "the ωB97M-V functional and the def2-TZVPD basis", "smiles": "O=c1[nH]c1=O.O=S", "gap_ev": [7.809, 7.750], "species": ["S", "O", "O", "O", "N", "C", "C", "H"], "positions_angstrom": [[-2.3308, 0.1599, -1.9375], [-0.7215, -0.5747, 1.9726], [0.5194, 1.6223, -0.6127], [-1.2786, -0.7284, -1.5249], [1.2644, -0.3162, 0.5948], [0.5858, 0.7486, 0.1539], [0.0495, 0.0228, 1.3124], [1.9118, -0.9342, 0.0415]], "forces_ev_per_a": [[-2.01, 1.70, -0.80], [0.07, 0.52, 0.63], [0.03, 1.37, -1.81], [2.01, -1.72, 0.81], [1.67, -0.87, -1.36], [-0.27, 0.47, 1.91], [-0.76, -1.73, -0.47], [-0.74, 0.26, 1.08]], "nbo_charge": [0.737, -0.483, -0.522, -0.734, -0.631, 0.624, 0.594, 0.416]}



Entry 2:
{"formula": "C6H17NO3S", "method": "the ωB97M-V functional and the def2-TZVPD basis", "total_charge": 2, "gap_ev": 9.240, "species": ["S", "O", "O", "O", "N", "C", "C", "C", "C", "C", "C", "H", "H", "H", "H", "H", "H", "H", "H", "H", "H", "H", "H", "H", "H", "H", "H", "H"], "positions_angstrom": [[-0.1020, 0.0004, 0.9082], [0.4459, -0.2702, 2.3383], [-1.8904, -0.3419, 1.2442], [0.3146, 1.4738, 0.5588], [0.7977, -0.8716, -3.5477], [1.8710, -1.0715, -2.4408], [-2.7684, 0.0722, 0.3153], [0.0606, 2.7007, 1.3844], [-0.4389, -0.6020, 3.4665], [0.2270, -0.8275, -0.5332], [1.6492, -0.4235, -1.1032], [1.6141, 0.7375, -1.2433], [2.4664, -0.6905, -0.4957], [-0.1109, -0.9348, -3.0428], [-3.6380, -0.5173, 0.1910], [-0.3572, 3.4659, 0.7865], [0.9663, 0.0428, -3.9386], [1.8657, -2.1351, -2.3892], [-0.0268, -1.9263, -0.5678], [-2.3897, 0.1234, -0.6775], [1.0350, 3.1456, 1.6761], [-0.3042, 2.4758, 2.3317], [0.6782, -1.7076, -4.2558], [0.3610, -0.9890, 4.0786], [-1.0427, -1.4862, 3.1601], [-1.0512, 0.2642, 3.6890], [-3.1624, 1.0162, 0.6973], [2.9302, -0.7235, -2.5903]], "forces_ev_per_a": [[-3.17, -0.98, -1.96], [-0.52, 0.74, -2.00], [6.03, -0.99, 1.86], [-0.79, -0.66, 0.60], [-0.11, -1.78, 0.77], [1.31, -0.52, -0.15], [-1.91, 2.83, -1.20], [3.12, 0.18, 0.09], [-0.22, -1.87, -0.51], [1.21, 0.45, 1.72], [-3.83, 2.54, -1.06], [0.44, -2.10, 0.28], [1.01, -0.35, 0.80], [0.44, 0.76, -0.29], [-0.64, -1.57, 0.56], [-1.30, 0.09, -0.69], [-0.56, 0.25, -0.90], [0.43, -0.88, 0.52], [0.07, 1.29, 0.67], [0.68, 0.41, -0.88], [0.00, -0.74, -0.62], [-1.65, -0.58, 1.22], [1.11, 2.26, 1.23], [-0.44, 0.51, 1.27], [0.22, 0.86, 0.34], [0.28, -0.14, 0.63], [-0.02, 0.40, -0.74], [-1.19, -0.42, -1.57]], "nbo_charge": [2.124, -0.670, -0.583, -0.667, -0.702, -0.231, -0.292, -0.259, -0.245, -0.761, -0.437, 0.243, 0.256, 0.450, 0.244, 0.247, 0.458, 0.223, 0.286, 0.198, 0.240, 0.217, 0.485, 0.249, 0.228, 0.225, 0.198, 0.277]}



Per-record ΔE to the lowest compared entry with this formula, charge and spin, kcal per mole: 93.34, 49.78

* * * * *

No. 1
14
Properties=species:S:1:pos:R:3 method="wB97M-V/def2-TZVPD" homo_energy_ev=-8.602
C -2.030 0.880 -0.057
C -0.768 0.411 -0.051
C 0.406 1.257 -0.019
C 1.627 0.712 -0.134
O 1.939 -0.590 -0.270
C 0.909 -1.495 0.135
C -0.527 -1.070 -0.085
O -1.438 -1.869 -0.201
H -2.929 0.264 -0.082
H -2.244 1.942 -0.141
H 0.383 2.338 0.109
H 2.529 1.313 -0.130
H 1.129 -2.480 -0.306
H 1.016 -1.612 1.232

---

No. 2
14
Properties=species:S:1:pos:R:3 method="wB97M-V/def2-TZVPD" homo_energy_ev=-9.383
O 0.903 -0.808 -3.022
**Done**
H -2.26 0.28 0.99
S 0.50 2.25 2.20
H -0.10 1.10 1.60
H 0.22 3.21 1.32
*
```

Orbital gap, eV: 9.54
SMILES string: C/C=C/N.S
Lowest unoccupied orbital energy, eV: 0.882
Total energy, eV: -15581.1514
Energy above the lowest of the compared OMol25 structures with the same formula, charge and spin, kJ/mol: 113.8

* * * * *

Entry 1:
{"formula": "C2HNO3S", "method": "the ωB97M-V functional and the def2-TZVPD basis", "smiles": "O=c1[nH]c1=O.O=S", "gap_ev": [7.809, 7.750], "species": ["S", "O", "O", "O", "N", "C", "C", "H"], "positions_angstrom": [[-2.3308, 0.1599, -1.9375], [-0.7215, -0.5747, 1.9726], [0.5194, 1.6223, -0.6127], [-1.2786, -0.7284, -1.5249], [1.2644, -0.3162, 0.5948], [0.5858, 0.7486, 0.1539], [0.0495, 0.0228, 1.3124], [1.9118, -0.9342, 0.0415]], "forces_ev_per_a": [[-2.01, 1.70, -0.80], [0.07, 0.52, 0.63], [0.03, 1.37, -1.81], [2.01, -1.72, 0.81], [1.67, -0.87, -1.36], [-0.27, 0.47, 1.91], [-0.76, -1.73, -0.47], [-0.74, 0.26, 1.08]], "nbo_charge": [0.737, -0.483, -0.522, -0.734, -0.631, 0.624, 0.594, 0.416]}



Entry 2:
{"formula": "C6H17NO3S", "method": "the ωB97M-V functional and the def2-TZVPD basis", "total_charge": 2, "gap_ev": 9.240, "species": ["S", "O", "O", "O", "N", "C", "C", "C", "C", "C", "C", "H", "H", "H", "H", "H", "H", "H", "H", "H", "H", "H", "H", "H", "H", "H", "H", "H"], "positions_angstrom": [[-0.1020, 0.0004, 0.9082], [0.4459, -0.2702, 2.3383], [-1.8904, -0.3419, 1.2442], [0.3146, 1.4738, 0.5588], [0.7977, -0.8716, -3.5477], [1.8710, -1.0715, -2.4408], [-2.7684, 0.0722, 0.3153], [0.0606, 2.7007, 1.3844], [-0.4389, -0.6020, 3.4665], [0.2270, -0.8275, -0.5332], [1.6492, -0.4235, -1.1032], [1.6141, 0.7375, -1.2433], [2.4664, -0.6905, -0.4957], [-0.1109, -0.9348, -3.0428], [-3.6380, -0.5173, 0.1910], [-0.3572, 3.4659, 0.7865], [0.9663, 0.0428, -3.9386], [1.8657, -2.1351, -2.3892], [-0.0268, -1.9263, -0.5678], [-2.3897, 0.1234, -0.6775], [1.0350, 3.1456, 1.6761], [-0.3042, 2.4758, 2.3317], [0.6782, -1.7076, -4.2558], [0.3610, -0.9890, 4.0786], [-1.0427, -1.4862, 3.1601], [-1.0512, 0.2642, 3.6890], [-3.1624, 1.0162, 0.6973], [2.9302, -0.7235, -2.5903]], "forces_ev_per_a": [[-3.17, -0.98, -1.96], [-0.52, 0.74, -2.00], [6.03, -0.99, 1.86], [-0.79, -0.66, 0.60], [-0.11, -1.78, 0.77], [1.31, -0.52, -0.15], [-1.91, 2.83, -1.20], [3.12, 0.18, 0.09], [-0.22, -1.87, -0.51], [1.21, 0.45, 1.72], [-3.83, 2.54, -1.06], [0.44, -2.10, 0.28], [1.01, -0.35, 0.80], [0.44, 0.76, -0.29], [-0.64, -1.57, 0.56], [-1.30, 0.09, -0.69], [-0.56, 0.25, -0.90], [0.43, -0.88, 0.52], [0.07, 1.29, 0.67], [0.68, 0.41, -0.88], [0.00, -0.74, -0.62], [-1.65, -0.58, 1.22], [1.11, 2.26, 1.23], [-0.44, 0.51, 1.27], [0.22, 0.86, 0.34], [0.28, -0.14, 0.63], [-0.02, 0.40, -0.74], [-1.19, -0.42, -1.57]], "nbo_charge": [2.124, -0.670, -0.583, -0.667, -0.702, -0.231, -0.292, -0.259, -0.245, -0.761, -0.437, 0.243, 0.256, 0.450, 0.244, 0.247, 0.458, 0.223, 0.286, 0.198, 0.240, 0.217, 0.485, 0.249, 0.228, 0.225, 0.198, 0.277]}



Per-record ΔE to the lowest compared entry with this formula, charge and spin, kcal per mole: 93.34, 49.78

* * * * *

No. 1
14
Properties=species:S:1:pos:R:3 method="wB97M-V/def2-TZVPD" homo_energy_ev=-8.602
C -2.030 0.880 -0.057
C -0.768 0.411 -0.051
C 0.406 1.257 -0.019
C 1.627 0.712 -0.134
O 1.939 -0.590 -0.270